Set down the part of the calculation results below that starts with the line with "0.9716" and stops after the one with "7.0482", please.

Record 1
Computed, not measured: a 3-piece molecular cluster, C4H15NO2 overall at a distorted geometry, with the ωB97M-V functional and the def2-TZVPD basis.

The geometry in XYZ format:
```
22
Properties=species:S:1:pos:R:3
C 2.3526 -1.2217 1.2159
C 1.8090 -0.3181 0.0861
N 0.3373 -0.2703 0.0145
C -0.1448 0.3212 -1.2942
C -0.4756 1.8766 -0.9745
H 2.1281 -1.0127 2.2678
H 3.4756 -1.3629 1.1524
H 2.1655 -2.1728 0.9716
H 2.3435 0.6610 0.3160
H 2.1860 -0.7232 -0.9164
H 0.0008 -1.1251 0.4064
H 0.7058 0.2978 -2.1158
H -1.0894 -0.1812 -1.4894
H -0.9458 1.8202 0.0656
H 0.4361 2.4785 -0.8018
H -1.1008 2.3553 -1.7345
O 0.0435 -2.0705 -2.7916
H 0.9609 -1.7596 -2.9042
H -0.3966 -1.6023 -3.5030
O -5.0499 1.0607 4.2477
H -4.4094 1.7638 4.4267
H -5.3325 1.1851 3.3548
```

Results
structure (SMILES): CCNCC.O.O
total charge: 0
gap between HOMO and LUMO: 9.263 eV

=====

Record 2
Computed, not measured: C62H41Cl4GeI2N4V as an isolated structure at a distorted geometry, with the ωB97M-V functional and the def2-TZVPD basis.

The geometry in XYZ format:
```
115
Properties=species:S:1:pos:R:3
V -0.7138 -0.4509 -0.0122
Cl 2.0708 1.7676 -8.7550
C 1.5276 1.1504 -7.1436
C 0.2263 0.6500 -7.0570
C -0.2527 0.3177 -5.8059
C 0.5112 0.5144 -4.6711
C 1.8163 0.9985 -4.7872
C 2.3083 1.3239 -6.0236
C 0.0292 0.1117 -3.3310
C 0.4842 -1.0404 -2.7213
C 1.2536 -2.0324 -3.4731
C 1.4430 -3.0610 -2.6209
C 0.8388 -2.7501 -1.3545
C 0.7615 -3.5852 -0.2808
C 1.3181 -4.9904 -0.4377
C 2.6649 -5.1883 -0.6804
C 3.2116 -6.4366 -0.9441
C 2.3169 -7.4912 -0.8771
Cl 2.8617 -9.0817 -1.3829
C 0.9466 -7.3313 -0.6014
C 0.4842 -6.0681 -0.3531
C 0.0735 -3.2958 0.9451
N -0.6295 -2.1769 1.1090
C -1.0500 -2.1616 2.4374
C -1.7630 -1.2147 3.0368
C -2.1374 -1.4484 4.4513
C -1.4372 -0.8276 5.4651
C -1.8813 -0.9658 6.8061
C -3.0000 -1.7904 7.0482
Cl -3.5362 -1.9522 8.6574
C -3.7129 -2.3864 6.0124
C -3.2885 -2.1906 4.7185
C -2.3066 -0.0339 2.4700
C -2.9807 0.8964 3.2225
C -3.1260 2.0118 2.4033
C -2.6522 1.6177 1.1386
N -2.0369 0.4146 1.1986
C -2.6045 2.4949 -0.0185
C -1.9898 2.1250 -1.2096
C -2.1411 2.8194 -2.4508
C -1.3552 2.2189 -3.3085
C -0.7630 1.0487 -2.6501
N -1.1720 0.9789 -1.3581
C -3.1877 3.8409 0.0449
C -4.5649 3.9820 0.1138
C -5.1080 5.2483 0.1890
C -4.2642 6.3236 0.2645
Cl -4.8652 7.9511 0.4458
C -2.8843 6.1762 0.2466
C -2.3214 4.9163 0.1661
C -0.7261 -3.4083 3.0240
C -0.0046 -4.0950 2.1096
N 0.2550 -1.4859 -1.4495
H -0.4673 0.5889 -7.9061
H -1.3042 0.0035 -5.7884
H 2.3359 1.0538 -3.8158
H 3.2918 1.7208 -6.0726
H 1.5982 -1.9609 -4.4843
H 1.9170 -3.9841 -2.8893
H 3.3401 -4.3767 -0.6004
H 4.2394 -6.5577 -1.0959
H 0.3467 -8.2206 -0.5686
H -0.5831 -5.9170 -0.1497
H -0.6030 -0.1860 5.2638
H -1.2760 -0.5857 7.6236
H -4.6008 -2.9598 6.2571
H -3.7187 -2.6417 3.9082
H -3.3657 0.8096 4.2410
H -3.6095 2.9452 2.5197
H -2.8035 3.6679 -2.5986
H -1.3115 2.4915 -4.3599
H -5.2321 3.1166 0.0158
H -6.2397 5.3980 0.2606
H -2.2330 7.0196 0.2993
H -1.2970 4.7394 0.3617
H -1.0214 -3.6918 4.0607
H 0.5194 -5.0122 2.2360
I -2.9968 -2.0800 -3.2397
C -4.9635 -1.7692 -2.4509
I -4.9899 -0.5555 -0.7730
H -5.3855 -2.7644 -2.2250
H -5.4894 -1.3108 -3.2727
C 2.0097 -1.0937 2.6163
Ge 1.5098 0.1661 1.2540
C 1.5494 1.8703 2.2992
C 0.4385 2.6981 2.1952
C 0.2461 3.7716 3.0811
C 1.1483 3.9981 4.0904
C 2.3041 3.2483 4.1761
C 2.5050 2.1369 3.3106
C 3.0949 0.0406 0.0088
C 3.9131 -1.0491 0.0155
C 5.0355 -1.1356 -0.8591
C 5.2810 -0.1792 -1.7736
C 4.4568 0.9853 -1.7948
C 4.7827 1.9970 -2.7072
C 3.9980 3.1339 -2.8188
C 2.8384 3.2261 -2.0013
C 2.5323 2.2616 -1.0673
C 3.3472 1.1218 -0.9757
H 3.0517 -0.8611 2.9631
H 2.0045 -2.0943 2.2477
H 1.2659 -1.0338 3.4128
H -0.3103 2.5549 1.4468
H -0.5923 4.4331 2.8756
H 0.9797 4.7177 4.8892
H 3.0482 3.4187 4.9331
H 3.3452 1.5265 3.4964
H 3.8111 -1.8781 0.6870
H 5.6562 -1.9894 -0.7795
H 6.1326 -0.1471 -2.4670
H 5.6711 1.9389 -3.3214
H 4.1588 3.9793 -3.5044
H 2.1041 3.9833 -2.1857
H 1.6386 2.3147 -0.4654
```

Results
total charge: 0

H 2.1655 -2.1728 0.9716
H 2.3435 0.6610 0.3160
H 2.1860 -0.7232 -0.9164
H 0.0008 -1.1251 0.4064
H 0.7058 0.2978 -2.1158
H -1.0894 -0.1812 -1.4894
H -0.9458 1.8202 0.0656
H 0.4361 2.4785 -0.8018
H -1.1008 2.3553 -1.7345
O 0.0435 -2.0705 -2.7916
H 0.9609 -1.7596 -2.9042
H -0.3966 -1.6023 -3.5030
O -5.0499 1.0607 4.2477
H -4.4094 1.7638 4.4267
H -5.3325 1.1851 3.3548
```

Results
structure (SMILES): CCNCC.O.O
total charge: 0
gap between HOMO and LUMO: 9.263 eV

=====

Record 2
Computed, not measured: C62H41Cl4GeI2N4V as an isolated structure at a distorted geometry, with the ωB97M-V functional and the def2-TZVPD basis.

The geometry in XYZ format:
```
115
Properties=species:S:1:pos:R:3
V -0.7138 -0.4509 -0.0122
Cl 2.0708 1.7676 -8.7550
C 1.5276 1.1504 -7.1436
C 0.2263 0.6500 -7.0570
C -0.2527 0.3177 -5.8059
C 0.5112 0.5144 -4.6711
C 1.8163 0.9985 -4.7872
C 2.3083 1.3239 -6.0236
C 0.0292 0.1117 -3.3310
C 0.4842 -1.0404 -2.7213
C 1.2536 -2.0324 -3.4731
C 1.4430 -3.0610 -2.6209
C 0.8388 -2.7501 -1.3545
C 0.7615 -3.5852 -0.2808
C 1.3181 -4.9904 -0.4377
C 2.6649 -5.1883 -0.6804
C 3.2116 -6.4366 -0.9441
C 2.3169 -7.4912 -0.8771
Cl 2.8617 -9.0817 -1.3829
C 0.9466 -7.3313 -0.6014
C 0.4842 -6.0681 -0.3531
C 0.0735 -3.2958 0.9451
N -0.6295 -2.1769 1.1090
C -1.0500 -2.1616 2.4374
C -1.7630 -1.2147 3.0368
C -2.1374 -1.4484 4.4513
C -1.4372 -0.8276 5.4651
C -1.8813 -0.9658 6.8061
C -3.0000 -1.7904 7.0482